
Raising Children As A Parent With GNM Awareness

By Richard Laker, Certified GNM Clinician

As adults applying GNM we can appreciate the vast number of experiences we have as we go through life, not forgetting we may experience unanticipated shocking events of the same nature multiple times over the years. Yet when dealing with children, it’s more akin to working with a blank canvas in many ways.

Having a 2 year old daughter at the time I first became a student of GNM, I was in the fortunate position to be able to observe first hand and learn directly in the moment as my daughter grew and developed. After my first year of study, we brought our son into the world so I was now in the position to observe the development of my child from birth with the knowledge and understanding of GNM.

GNM became the philosophical way of living for my children which I must say has been a huge blessing, not only to be able to expand my knowledge and experience, but to also help them navigate through what can be some challenging times for a child, leading to a path of least suffering. The result being that both of my children, now 11 and 16 years old, have only ever been to see a doctor once, are very healthy overall, and should they become unwell they both recover extremely quickly in comparison to my observations amongst their peers.

During the first year of a child’s life, we are going to be dealing with the most basic and archaic responses to their environment, the simple matters of life such as dealing with temperature changes, loud noises and simple morsel conflicts like hunger, overfeeding, reflux and possibly separation due to overbearing smells.

As a child develops cognitive ability and social awareness, then the nature of the potential conflicts they are exposed to expand to separation, territory and boundary type conflicts. As a child develops communication skills and becomes fully aware of their family members, we start to recognise their attachment to loved ones, pets and even toys. Sharing becomes a thing for them so we will also start to observe territorial and boundary responses when integrating with other children of a similar age where we will observe their awareness of boundaries. The most common ailments we will see around this period are colds, skin conditions and temper tantrums. 

When we are faced with dealing with skin conditions, we need to look at how they may perceive conflicts of separation from the mother and father as the most important, then grandparents, siblings, friends, pets and maybe even favourite toys.

The most common affected areas of a child’s body we will observe are skin conditions such as eczema which occur behind the knees and the inside of the elbows which represents the embrace contact surface and commonly when carried on the hip by a loved one. When these symptoms become chronic, we need to offer assistance to the child to help them work out the constant separation reminders that we refer to as tracks.

We must pay attention to when the child is most likely to be in a situation where the elevation of stress and anxiety due to separation arises and more often provide a practical solution ourselves. For example, when we must leave our children in the care of others we can change how that interaction takes place. Rather than leaving the child abruptly, we could interact with them for a short period of time in the new environment and help them to engage until they feel safe and comfortable to continue interacting with others. The goal is to eliminate these moments of stress in regards to separation and help the child break the cycle of tracks.

One of the most interesting childhood skin conditions I find is chicken pox. In GNM, we do not follow the hypothesis that chicken pox is a contagious disease, but rather a healing phase of a deep and meaningful separation conflict. I have had many conversations with people who challenge the idea that chicken pox is not contagious and each time the question is asked as to why groups of children will develop chicken pox around the same period of time, and granted observing this phenomenon does make a strong argument for the contagion theory.

I have been in the fortunate position to be able to observe these so-called chicken pox outbreaks on numerous occasions and not only that, I have predicted the situation when these outbreaks are most likely to occur.

In the UK there is an educational entry point for children aged 4 to join a reception class and full time education from the September, January and April of the year they are aged 4. This often sudden change of a child’s life being separated for numerous hours of the day 5 days a week can be a big shock to their evolving systems. After approximately 5 to 7 weeks after their start date there is a half term holiday break of at least a week and this is precisely the period I was able to observe a large number of children in my children’s classes breaking out with chicken pox which is then treated as a contagious outbreak amongst the class.

What I believe we are observing is the understanding and the relief of the children to the fact that they will be having or having experienced at least a week’s break from the initial deep separation conflict involving going to school. They relax and allow their bodies to enter the healing phase during this relief period allowing the separation stress and anxiety levels to significantly diminish truly for the first time in a number of weeks. Not all children will develop chicken pox and I suspect this is purely down to the individual child’s previous experiences and their own perceptions.

 As children become comfortable at school and form friendships, especially over the next 6 years before moving to secondary school we will start to witness various programming conflicts coming to light, from anger and rage to bed wetting where we are looking at boundary, territorial and identity conflicts playing out.

These years before puberty will have much to do with the shaping of a child’s personality and their perception of themselves and the world around them. As parents, we can only do our best to guide our children. Having a sound GNM foundation as a parent of a young child can really make a difference to help them navigate, understand and resolve the various conflicts that life throws at them. When we experience a child with rage we need to pay attention to how they see themselves fitting into the world, how they fit into their families and how they fit in with their friends.

Having experienced rage from my son, I found the solution for him personally is to assist him to develop his own identity. He is highly self-motivated and always pays attention so encouraging and supporting him with hobbies and extracurricular activities has helped him build a sense of individuality where he feels less desire to compete and try to fit in, but rather share his enthusiasm amongst his peers with his own unique experiences thus laying claim to his own identity.

 When my daughter went through a period in her life where she expressed rage and developed an eating disorder, we were eventually able to understand that her conflicts came from her closest friendship group where she felt she was treated as an outcast by some of her friends.

A lot of what was perceived by her as bullying would happen during the lunch time period which was the source of her eating disorder. Once we were able to help her identify the situation and help her work out a solution and come to terms with what she had experienced, her symptoms of anger, rage and issues around eating completely stopped and she shifted back to a healthy and happy child once again.

Unrelated to this text: calculated molecules.
/*
[1]
Here is 3 unconnected molecules or ions with the total composition C32H73BFN5O5P in a non-equilibrium geometry from OMol25. Energies are from ωB97M-V/def2-TZVPD.

```
118
Properties=species:S:1:pos:R:3:forces:R:3:lowdin_charge:R:1
C 5.2845 -2.2732 -0.5470 -0.016 -0.169 0.116 -0.111
O 6.4442 -1.9693 -1.2829 0.103 0.061 0.050 -0.177
C 6.2609 -0.9176 -2.2066 0.243 -0.042 -0.146 -0.226
C 6.2871 0.4691 -1.5417 0.071 -0.016 -0.203 -0.162
C 5.3098 1.5022 -2.1257 0.159 0.242 0.157 -0.213
C 4.7807 2.4774 -1.0649 0.283 0.103 -0.228 -0.222
C 4.0752 3.6954 -1.6805 0.170 0.012 0.114 -0.205
C 3.0894 4.4199 -0.7385 0.257 0.468 -0.182 -0.202
C 1.6851 4.6612 -1.3284 0.180 0.092 -0.007 -0.187
C 0.5422 4.6682 -0.2926 0.038 0.421 -0.110 -0.205
C -0.7128 3.8619 -0.6329 0.044 0.099 0.656 -0.183
C -0.6339 2.3142 -0.7068 -0.256 -0.148 -0.899 -0.400
P 0.4759 1.6561 0.6051 -0.298 -0.693 0.284 0.845
N 0.5763 0.1011 0.7561 0.109 0.335 -0.292 -0.220
C -0.1613 1.8663 -2.1543 0.002 0.278 -0.072 -0.177
C 1.1851 1.1538 -2.4276 0.028 -0.171 -0.200 -0.133
C 1.2106 -0.3777 -2.2668 -0.039 -0.071 -0.207 -0.158
C 2.5414 -0.9258 -1.7604 -0.109 0.275 0.054 -0.216
F 2.3141 -2.0529 -0.9867 -0.242 -0.163 -0.010 -0.050
C -1.3255 1.1269 -2.7311 -0.150 -0.310 0.047 -0.116
C -1.3652 0.5305 -4.1101 -0.297 0.167 0.101 -0.079
C -1.5124 -1.0221 -4.1092 -0.032 0.293 -0.384 -0.178
C -0.5735 -1.7058 -5.1089 0.198 -0.031 -0.013 -0.167
C -0.2102 -3.1745 -4.7512 0.218 0.069 -0.155 -0.222
O -0.5630 -3.5821 -3.4402 -0.341 0.002 -0.417 -0.074
N -2.3230 1.0731 -1.9157 0.316 -0.231 -0.161 0.009
C -3.6015 0.4215 -2.1884 -0.216 0.219 -0.264 0.046
C -2.1254 1.8180 -0.6549 0.137 0.551 0.143 -0.070
B -2.8680 1.2526 0.6773 0.124 -0.278 -0.049 -0.551
O -4.2456 1.3983 0.6316 0.564 0.341 -0.930 0.159
N -2.1823 0.7502 1.8287 -0.291 0.124 0.107 -0.140
C -2.7110 1.3030 3.0904 0.078 -0.396 0.107 -0.062
C -2.0927 -0.7208 1.8822 0.327 -0.127 0.189 -0.068
H 5.5745 -2.9107 0.2909 0.007 0.064 -0.123 0.099
H 4.8071 -1.3724 -0.1358 0.038 -0.089 -0.033 0.074
H 4.5559 -2.8170 -1.1615 0.086 0.107 0.053 0.083
H 7.0929 -1.0106 -2.9104 -0.143 0.019 0.019 0.127
H 5.3376 -1.0706 -2.7858 0.002 0.018 0.099 0.098
H 7.3025 0.8622 -1.6539 -0.099 -0.011 0.248 0.118
H 6.1260 0.3390 -0.4664 -0.110 0.013 -0.102 0.111
H 5.8368 2.1023 -2.8788 -0.167 -0.143 -0.038 0.120
H 4.4751 1.0146 -2.6466 0.029 0.024 0.065 0.089
H 4.1279 1.9626 -0.3469 0.024 -0.049 -0.078 0.094
H 5.6536 2.8350 -0.5021 -0.250 -0.100 0.147 0.124
H 3.5840 3.3993 -2.6162 -0.100 0.003 0.119 0.101
H 4.8595 4.4045 -1.9690 -0.147 -0.137 -0.165 0.116
H 3.5167 5.4084 -0.5330 -0.096 -0.177 0.247 0.114
H 3.0346 3.9201 0.2348 -0.033 -0.104 -0.150 0.088
H 1.5086 3.9519 -2.1445 -0.064 -0.029 0.194 0.082
H 1.7070 5.6489 -1.8029 -0.081 -0.242 -0.138 0.118
H 0.9252 4.4070 0.7022 -0.087 -0.065 -0.176 0.092
H 0.1927 5.7027 -0.1902 0.057 -0.154 0.113 0.119
H -1.1477 4.2366 -1.5692 0.019 -0.117 0.070 0.135
H -1.4437 4.0980 0.1535 0.051 0.013 -0.119 0.124
*/
End of the calculated molecules.

Children aren’t born with an instruction manual and as parents we are ourselves learning every day, but with the knowledge and ability to put this information into practice we can support our children and learn with them resulting in a pleasant and happy childhood to look back on.